How Does Population Growth Impact Ocean Health?

Throughout human existence we have relied on oceans for many things: food, recreation, medicine, economic opportunities, among many others. They play a significant role as both the world’s largest habitat and its climate regulator. However, the world’s oceans have suffered a lot at the hands of humans and population growth has increasingly compounded the problem by pushing oceans to their limits and altering ecosystems beyond their natural state.

**Next to the piece, the page also holds quantum chemistry results:**
+++
No. 1
ORCA calculation (ωB97M-V/def2-TZVPD) on a cluster of 2 separate species, C2H6NO2 in total in a non-equilibrium geometry.

Calculated values
Energy relative to the best compared isomer or geometry (same formula, charge and spin) ... 116.9 kJ/mol
LUMO ... -5.699 eV
Largest force on an atom ... 2.44 eV/A
Kohn-Sham gap ... 8.93 eV

The geometry in ORCA input format:
```
! RIJCOSX wB97M-V def2-TZVPD def2/J DEFGRID3
* xyz 1 1
C -0.7851 0.3204 2.9863
N -1.0413 -0.3544 1.9373
H -1.5057 0.4280 3.7891
H 0.0423 1.0202 2.9097
H -0.3512 -0.4938 1.1903
H -1.6562 -1.1698 1.9471
O -0.0406 0.4789 -0.8148
C 0.2990 0.0167 -1.8659
O 1.5475 -0.3298 -2.1360
H -0.4017 -0.1099 -2.7050
H 1.7272 -0.3696 -3.0840
*
```

No. 2
ORCA calculation (ωB97M-V/def2-TZVPD) on a structure of composition C4HBaO2 in a non-equilibrium geometry.

Calculated values
LUMO ... -6.204 eV
Largest force on an atom ... 5.17 eV/A
Kohn-Sham gap ... 3.80 eV

The geometry in ORCA input format:
```
! RIJCOSX wB97M-V def2-TZVPD def2/J DEFGRID3
* xyz 1 1
O -1.9503 1.7696 0.0415
C 2.0582 0.5018 0.7713
C 0.9283 0.6389 0.1961
C -0.2682 0.8083 -0.3740
C -1.5282 0.3728 -0.1281
O -2.2108 -0.5945 -0.5366
Ba -3.4817 -2.8166 0.1142
H -2.0136 2.1826 -0.8305
*
```

No. 3
ORCA calculation (ωB97M-V/def2-TZVPD) on a cluster of 2 separate species, C4H7BrN2O4 in total in a non-equilibrium geometry.

Calculated values
Energy relative to the best compared isomer or geometry (same formula, charge and spin) ... 118.6 kJ/mol
LUMO (alpha / beta) ... -3.809 / -3.810 eV
Largest force on an atom ... 3.06 eV/A
Kohn-Sham gap (alpha / beta) ... 6.43 / 6.43 eV

The geometry in ORCA input format:
```
! RIJCOSX wB97M-V def2-TZVPD def2/J DEFGRID3
* xyz 0 1
C -1.5243 -0.3410 0.8984
C -0.8444 1.3921 -0.8253
C -0.3737 0.5365 0.3470
C 0.7613 -0.3247 -0.0345
N 0.8425 -0.8365 -1.3955
N 1.4096 -1.1385 0.9585
O 1.5824 -0.3616 -2.1992
O 1.1748 -0.8716 2.1143
O 0.0450 -1.7333 -1.5534
O 2.1327 -2.0179 0.5548
Br 3.1359 1.3472 0.2122
H -2.3696 0.3021 1.1170
H -1.8207 -1.0856 0.1637
H -1.2183 -0.8422 1.8125
H -1.3937 0.7843 -1.5406
H -1.5027 2.1795 -0.4769
H 0.0012 1.8481 -1.3347
H -0.0379 1.1631 1.1817
*
```

No. 4
ORCA calculation (ωB97M-V/def2-TZVPD) on a structure of composition C5H6O2.

Calculated values
Energy relative to the best compared isomer or geometry (same formula, charge and spin) ... 464.7 kJ/mol
LUMO ... 0.600 eV
Largest force on an atom ... 0.60 eV/A
Kohn-Sham gap ... 9.27 eV

The geometry in ORCA input format:
```
! RIJCOSX wB97M-V def2-TZVPD def2/J DEFGRID3
* xyz 0 1
O -0.1344 -0.0105 -2.5983
C -0.7740 0.7086 -1.5717
C -0.2101 0.4654 -0.2202
C -0.1412 0.6607 1.0158
C 0.4551 0.1835 2.1650
C 0.6714 -0.9413 0.6180
O 0.1161 -2.0142 0.6427
H -0.3604 -0.9438 -2.4944
H -1.8539 0.5051 -1.5402
H -0.6493 1.7687 -1.8129
H -0.1293 -0.4225 2.8510
H 1.3101 0.7165 2.5766
H 1.6999 -0.6761 0.3687
*
```

No. 5
ORCA calculation (ωB97M-V/def2-TZVPD) on a structure of composition C5H7NO2 in a non-equilibrium geometry.

Calculated values
+++

Coral Bleaching: Coral reefs shelter 25 percent of marine species, protect shorelines, support fishing industries, and provide tourism for coastal communitiesHowever, corals are increasingly stressed by changing conditions like warming water temperatures and pollution. When this happens, algae living in their tissues disappear leaving them to turn completely white and consequently making them more susceptible to disease and death.

Overfishing: Our seas have been considered a limitless bounty of food for centuries. However, unsustainable fishing practices and an increasing demand for fish are pushing many fish species, such as Bluefin Tuna, to the brink of collapse. Data shows populations of fish and other marine vertebrates, including marine mammals, reptiles and birds have halved since 1970.

Pollution: Much of the waste we produce on land eventually reaches the oceans, either through deliberate dumping or from the run-off of drains and rivers. This garbage is often ingested by marine animals and sea birds, putting their lives in danger. Additionally, toxic chemicals leach out of ingested plastics, infecting the tissues of fish – a dangerous condition for the fish themselves and the humans who eat them.

Warming Temperatures: Due to climate change, the oceans are absorbing too much heat and carbon dioxide, making waters warmer and more acidic. When the oceans get too warm, plants and animals that live in the waters must adapt, or they are at risk of dying. This includes coral, algae and plankton, which are at the bottom of the food chain, but also species like fish, seals, and whales, who depend on this tiny marine life.

## Attached: molecular data
........
## a
Formula: C2H4N2O
Source: the OMol25 dataset
Level of theory: wB97M-V/def2-TZVPD

Calculated values
HOMO level, hartree: -0.390

Geometry as ORCA input:
```
! wB97M-V def2-TZVPD RIJCOSX def2/J DEFGRID3
* xyz 0 1
C 1.95730 -0.07640 -0.17270
C 0.48819 -0.48564 -0.41242
N 2.86623 0.48641 0.17125
N -0.26992 0.54140 0.22014
O 0.15706 -1.71773 0.18346
H 0.43762 -0.62449 -1.47780
H -0.88018 1.15518 -0.41354
H 0.44462 1.14364 0.74142
H 0.29329 -1.62400 1.14755
*
```

---

## b
Formula: C2H4N2O
Source: the OMol25 dataset
Level of theory: wB97M-V/def2-TZVPD

Calculated values
HOMO level, hartree: -0.360

Geometry as ORCA input:
```
! wB97M-V def2-TZVPD RIJCOSX def2/J DEFGRID3
* xyz 0 1
C 1.31018 -0.36993 0.15451
C -1.27278 -0.24757 -0.15868
H 2.34710 -0.86279 -0.38340
H 1.02639 -0.87782 1.08309
H -0.86259 1.82604 0.08954
H -0.47223 -0.93699 -0.51740
N 0.83064 0.60197 -0.44139
N -0.45560 0.99949 0.23271
O -2.45112 -0.13241 -0.05897
*
```

---

Which structure is the most stable? The one labeled a.

---

## a
Formula: C6H12O2Si
Source: the OMol25 dataset
Level of theory: wB97M-V/def2-TZVPD

Calculated values
HOMO level, hartree: -0.327

Geometry as ORCA input:
```
! wB97M-V def2-TZVPD RIJCOSX def2/J DEFGRID3
* xyz 0 1
C 1.01365 1.28854 1.57042
C -0.29446 0.55958 1.29694
C 1.56919 1.31674 3.03486
C 1.19082 -0.97482 -1.13108
C -1.96081 -1.37004 -0.29153
C -0.81913 1.29942 -1.68524
O 1.72104 1.69707 0.67157
O -1.23926 0.69767 2.03079
Si -0.41523 -0.19472 -0.55036
H 1.24479 0.41396 3.55137
H 1.21630 2.31396 3.53388
H 2.71711 1.26869 2.97063
H 1.05480 -1.83248 -1.82730
H 1.87106 -0.26612 -1.68157
H 1.76741 -1.44353 -0.30992
H -2.96410 -1.03778 -0.50466
H -1.97327 -2.34481 -0.61285
H -2.22571 -1.49050 0.83269
H -0.98643 1.10066 -2.70800
H -1.72269 1.63816 -1.37733
H 0.04616 2.11021 -1.75508
*
```

---

## b
Formula: C6H12O2Si
Source: the OMol25 dataset
Level of theory: wB97M-V/def2-TZVPD

Calculated values
HOMO level, hartree: -0.348

Geometry as ORCA input:
```
! wB97M-V def2-TZVPD RIJCOSX def2/J DEFGRID3
* xyz 0 1
C 4.46148 -0.34161 -1.58368
C -1.71114 -1.31378 -0.33810
C -1.40187 -1.02931 1.18340
C -0.50971 -1.34264 -1.27258
C -0.65221 0.33401 1.29437
C 0.74132 2.39507 0.07392
O 3.82375 0.60050 -1.33838
O 0.23926 -0.20085 -1.31352
Si 0.75034 0.58013 0.06575
H 2.15788 -0.39243 0.51940
H -2.24852 -2.22813 -0.43128
H -2.35676 -0.65262 -1.01310
H -2.33582 -0.93822 1.77858
H -0.85751 -1.83111 1.60502
H 0.14969 -2.11592 -0.92431
H -0.80158 -1.66667 -2.31062
H -1.34298 1.08926 1.05544
H -0.29907 0.60953 2.36955
H 0.43000 2.84588 -0.81656
H 0.11988 2.66738 0.86196
H 1.64355 2.93152 0.53475
*
```

---

Which structure is the most stable? The one labeled b.

---

## a
Formula: C4H13N3
Source: the OMol25 dataset
Level of theory: wB97M-V/def2-TZVPD

Calculated values
HOMO level, hartree: -0.288

Geometry as ORCA input:
```
! wB97M-V def2-TZVPD RIJCOSX def2/J DEFGRID3
* xyz 0 1
C -0.95063 -1.49933 -1.65378
C 0.76256 -0.52361 0.46601
C 0.05302 -1.05295 1.70090
........

Population growth has already initiated dramatic changes in coastal ecosystems in various ways and our future will greatly depend on our ability to restore ocean health and protect marine habitats.

-- Molecular data, as found in the file --
-- begin --
(1)
Entry from OMol25: a single C2H3IN2 molecule in a non-equilibrium geometry (ωB97M-V/def2-TZVPD).

The gap between HOMO and LUMO (alpha / beta) is 0.2630 / 0.2262 hartree. The largest force on an atom is 0.09657 hartree/bohr. For the energy, the calculation gives -13198.467 eV. Its molar mass is 181.96 g/mol. Its spin multiplicity is 3. The value obtained for the energy above the lowest of the compared OMol25 structures with the same formula, charge and spin is 17.7 kcal/mol. Its expectation value of S² is 2.02.

Geometry as XYZ:
```
8
C2H3IN2 | OMol25 | ωB97M-V/def2-TZVPD
C -0.11 -0.30 0.13
C 0.48 0.90 -0.01
N -1.35 -0.55 0.73
N 1.17 1.84 0.34
I -3.30 -0.31 -0.19
H 0.16 -1.12 -0.73
H -1.37 -1.54 0.79
H 1.00 2.79 -0.04
```

Just the Mulliken charges please, in e? Sure, here they are:
1. C -0.20
2. C 0.38
3. N -0.56
4. N -0.41
5. I -0.09
6. H 0.20
7. H 0.38
8. H 0.30

(2)
Entry from OMol25: 2 unconnected molecules or ions with the total composition C2H3IN2O in a non-equilibrium geometry (ωB97M-V/def2-TZVPD).

The gap between HOMO and LUMO (alpha / beta) is 0.2840 / 0.2840 hartree. The largest force on an atom is 0.07626 hartree/bohr. For the energy, the calculation gives -15248.189 eV. Its molar mass is 197.96 g/mol. Its spin multiplicity is 1. The value obtained for the energy above the lowest of the compared OMol25 structures with the same formula, charge and spin is 56.4 kcal/mol.

Geometry as XYZ:
```
9
C2H3IN2O | OMol25 | ωB97M-V/def2-TZVPD
C 1.26 0.09 -0.20
C -0.73 -0.55 0.75
N 1.24 0.97 -1.04
N -1.74 -0.05 0.06
O -0.50 -1.33 1.60
I 2.96 -1.07 0.48
H 2.02 1.36 -1.72
H -1.78 0.88 -0.28
H -2.74 -0.30 0.35
```

Just the Mulliken charges please, in e? Sure, here they are:
1. C -0.05
2. C 0.44
3. N -0.47
4. N -0.35
5. O -0.36
6. I -0.03
7. H 0.28
8. H 0.27
9. H 0.29

(3)
Entry from OMol25: a molecular structure, C2H3IN2O in a non-equilibrium geometry (ωB97M-V/def2-TZVPD).

The gap between HOMO and LUMO (alpha / beta) is 0.2372 / 0.2367 hartree. The largest force on an atom is 0.04041 hartree/bohr. For the energy, the calculation gives -15245.632 eV. Its molar mass is 197.96 g/mol. Its spin multiplicity is 1. The value obtained for the energy above the lowest of the compared OMol25 structures with the same formula, charge and spin is 115.4 kcal/mol.

Geometry as XYZ:
```
9
C2H3IN2O | OMol25 | ωB97M-V/def2-TZVPD
C -0.10 0.38 0.13
C -1.22 -0.35 -0.42
N 0.71 1.28 -0.32
N 1.45 1.10 0.82
O 0.48 0.02 1.29
I 3.32 -0.72 -0.10
H -1.34 -1.19 0.29
H -2.09 0.24 -0.23
H -1.19 -0.76 -1.45
```

Just the Mulliken charges please, in e? Sure, here they are:
1. C 0.84
2. C -0.93
3. N -0.34
4. N -0.22
5. O -0.22
6. I -0.01
7. H 0.29
8. H 0.29
9. H 0.30

(4)
Entry from OMol25: 2 unconnected molecules or ions with the total composition C2H3IN4 in a non-equilibrium geometry (ωB97M-V/def2-TZVPD).
-- stop --

Ocean health is one of the topics for the 2016-2017 World of 7 Billion student video contest. For more information on population and climate, check out the contest background resources.